iOS Mail To Omnifocus Task

Convert messages in the Mail app built in to iOS into tasks in OmniFocus.

**Someone pasted molecular data at this point:**
........
Density functional theory data (ωB97M-V/def2-TZVPD) for a 6-piece molecular cluster, C10H22N4O14S overall in a non-equilibrium geometry.

Element x y z (Å)
C  4.760  2.351  4.083
N  4.213  3.346  5.075
O  4.458  4.505  4.869
O  3.628  2.916  6.087
H  4.890  2.840  3.117
H  4.015  1.580  3.890
H  5.754  2.084  4.442
C  -1.711  -0.282  6.189
N  -3.126  -0.439  6.533
O  -3.386  -0.889  7.620
O  -3.945  -0.009  5.714
H  -1.616  -0.891  5.290
H  -1.053  -0.678  6.962
H  -1.466  0.765  6.015
C  1.007  5.250  -6.946
N  1.447  3.993  -6.199
O  2.428  3.314  -6.623
O  0.831  3.705  -5.141
H  0.818  5.259  -8.019
H  1.865  5.921  -6.902
H  0.245  5.827  -6.423
C  0.688  3.044  0.266
N  0.096  2.882  1.629
O  -1.030  2.333  1.755
O  0.739  3.363  2.485
H  1.594  3.648  0.310
H  -0.001  3.696  -0.271
H  0.893  2.104  -0.246
O  3.698  -1.269  -1.678
S  2.406  -1.754  -2.121
O  1.355  -1.896  -1.096
O  1.831  -0.831  -3.427
C  1.020  -1.555  -4.263
C  1.514  -2.973  -4.157
O  2.531  -3.061  -3.165
H  0.004  -1.482  -3.874
H  1.032  -1.310  -5.325
H  2.074  -3.293  -5.035
H  0.679  -3.625  -3.901
O  -4.123  -5.255  -2.137
C  -3.894  -4.596  -1.107
C  -4.349  -4.932  0.340
C  -3.499  -4.047  1.179
C  -3.300  -2.834  0.166
O  -3.259  -3.412  -1.147
H  -5.421  -4.747  0.414
H  -4.207  -5.981  0.598
H  -4.042  -3.767  2.082
H  -2.569  -4.507  1.513
H  -4.135  -2.136  0.232
H  -2.382  -2.275  0.347

Cartesian forces, eV/Å:
-0.426 0.509 -0.631
-0.475 -0.952 1.374
-0.041 0.414 -0.107
0.859 0.396 -1.827
0.029 0.430 0.306
0.422 -0.295 0.740
-0.395 -0.502 0.136
0.940 -0.521 -0.558
-0.913 1.500 -0.194
-0.378 -0.413 0.216
0.808 -0.756 0.785
0.359 0.369 -0.139
-0.459 -0.023 0.082
-0.354 -0.145 -0.209
1.045 1.317 0.449
0.454 -2.144 0.898
-2.813 2.305 0.742
1.341 1.007 -2.706
-0.184 -1.340 0.164
0.393 -0.244 0.248
-0.244 -0.909 0.213
-0.151 0.683 -0.856
-2.585 -1.606 -2.089
2.384 0.969 -0.403
1.113 0.839 2.729
0.043 -0.396 0.588
-0.309 -0.558 -0.228
-0.467 0.015 0.249
-1.990 -0.954 -1.297
-1.057 0.268 -0.540
1.962 -0.043 -2.587
2.133 1.447 2.422
-1.366 -1.035 0.018
0.287 -1.527 -0.330
0.171 1.406 2.712
-0.215 -0.028 -0.291
0.343 0.925 0.301
-0.551 -0.126 -0.201
0.249 -0.309 -0.164
0.820 1.857 2.985
-1.410 -2.426 -2.637
0.398 -0.955 -1.125
-0.224 1.781 -0.132
0.472 -0.383 1.520
-0.163 -0.298 0.604
0.011 0.274 -0.032
-0.027 -0.066 -0.488
0.169 0.406 -0.020
0.103 0.058 -0.413
-0.115 -0.080 -0.081
0.000 -0.140 -0.197

- Max |F|: 0.075 hartree/bohr
- Kohn-Sham gap: 9.613 eV
- Highest occupied orbital energy: -0.3729 hartree

***

Density functional theory data (ωB97M-V/def2-TZVPD) for a 2-piece molecular cluster, C10H23B3FNO6 overall in a non-equilibrium geometry.

Element x y z (Å)
C  1.582  0.350  3.017
C  0.914  0.892  1.601
C  0.257  2.364  1.908
C  -0.821  2.704  0.708
B  -2.337  2.477  1.302
O  -2.874  2.977  2.581
B  -3.690  1.850  3.116
O  -4.643  2.211  4.218
O  -3.587  0.437  2.681
B  -3.254  0.328  1.241
C  -2.830  -1.055  0.446
C  -2.301  -2.265  1.429
........

productivityemailomnifocusiossupported Wednesday November 08, 2023

One of my longest-running frustrations with iOS is that the default mail app does not have a “share” action, making it impossible to do the one thing that a mail client needs to be able to do for me, which is to selectively turn messages into tasks. This deficiency has multiple components which makes it difficult to work around:

  1. There is no UI to “share” a message from within the mail app, so you can’t share it to OmniFocus or a shortcut.
  2. There is no way to query for a mail message in Shortcuts and then get some kind of “message” object, so there’s no way you can start in Shortcuts and manually invoke something.
  3. There’s no such thing as MailKit on iOS, so third-party apps can’t query your mail database either.

To work around this, I’ve long subscribed to the “AirMail” app, which has a “message to omnifocus” action but is otherwise kind of a buggy mess.

But today, I read that you can set up an iPad in a split-screen view and drag messages from the built-in Mail app’s message list view into the OmniFocus inbox, and I extrapolated, and discovered how to get Mail-message-to-Omnifocus-task work on an iPhone.

I’m thrilled that this functionality exists, but it is a bit of a masterclass in how to get a terrible UX out of a series of decisions that were probably locally reasonable. So, without any further ado, here’s how you do it:

********
This record from the Open Molecules 2025 dataset describes a molecular structure, C39H50BBeN7S4. The level of theory is ωB97M-V with the def2-TZVPD basis set.

Geometry (Å):
C1 7.44 21.45 8.60
S1 13.03 16.24 10.32
H1 12.86 22.12 5.53
H2 6.05 20.99 6.91
S2 10.25 16.24 11.79
H3 16.84 17.71 9.39
C2 14.67 12.73 9.42
C3 8.04 20.04 8.68
H4 15.08 22.21 8.57
N1 12.60 19.58 8.29
H5 11.72 13.29 7.84
H6 11.88 21.30 6.75
C4 9.79 22.54 13.52
C5 14.73 18.20 9.39
H7 10.91 8.55 9.10
C6 7.73 17.64 8.36
C7 10.72 9.39 9.81
C8 13.79 20.01 8.10
H8 10.37 16.47 14.85
C9 9.11 17.54 8.58
H9 13.19 21.69 13.94
H10 12.58 10.44 9.34
C10 14.94 19.38 8.68
N2 9.82 18.62 9.03
C11 10.96 19.56 13.85
H11 8.10 23.49 9.04
C12 6.40 21.47 9.71
C13 14.26 22.43 7.88
N3 10.98 14.04 9.97
C14 12.77 13.08 7.93
Be1 11.08 15.69 9.85
H12 5.55 20.82 9.50
H13 9.53 22.22 14.52
S3 12.22 13.13 10.53
H14 11.26 22.21 10.90
H15 10.02 12.41 12.18
C15 7.24 18.92 8.32
C16 9.36 10.43 11.44
H16 9.15 22.57 7.99
C17 13.58 12.87 6.81
C18 14.96 12.73 7.00
C19 6.84 16.50 8.04
H17 6.04 22.48 9.87
C20 14.02 21.18 7.09
H18 11.41 23.78 11.84
H19 16.53 12.38 8.41
H20 8.92 8.52 10.54
H21 13.08 12.80 5.85
C21 12.26 22.21 14.21
H22 15.96 19.77 8.57
C22 8.51 22.50 8.88
N4 11.08 20.17 11.57
H23 12.06 16.47 14.32
H24 12.76 20.36 5.56
C23 10.72 17.88 12.24
H25 6.79 21.09 10.68
H26 8.97 22.24 12.88
H27 7.21 15.54 8.45
H28 15.06 12.50 10.43
C24 11.18 22.01 13.10
H29 13.45 22.86 8.46
N5 12.38 18.63 9.28
C25 15.22 20.86 6.17
H30 15.99 17.44 10.96
C26 15.47 12.59 8.29
N6 9.29 19.94 8.98
H31 10.12 13.47 9.81
N7 10.90 18.86 11.32
C27 11.00 20.52 12.80
H32 14.59 23.22 7.21
H33 6.24 19.14 8.06
H34 15.00 20.09 5.42
H35 15.64 12.85 6.14
S4 9.97 16.08 8.15
C28 6.79 21.71 7.20
H36 11.53 17.53 15.66
C29 11.66 22.73 11.78
H37 11.11 19.93 14.89
C30 12.82 21.25 6.18
C31 15.90 17.38 9.86
H38 16.02 20.56 6.82
H39 11.88 21.78 15.13
H40 12.75 22.74 11.75
H41 15.55 21.74 5.60
H42 8.49 10.56 12.09
H43 15.70 16.33 9.64
C32 13.37 17.77 9.61
H44 5.82 16.74 8.49
H45 9.78 23.61 13.56
C33 9.63 9.36 10.63
H46 6.42 22.72 7.32
C34 11.34 11.54 10.64
C35 10.25 11.53 11.45
B1 11.02 18.54 9.86
H47 9.16 22.17 9.70
H48 6.61 16.40 6.98
C36 11.63 10.42 9.85
H49 12.50 23.24 14.38
C37 13.35 13.02 9.20
C38 10.95 18.19 13.60
C39 11.25 17.11 14.65
H50 7.55 21.74 6.35

The largest force on an atom is 0.0692 hartree/bohr. For the electronic energy, the calculation gives -3531.32667 hartree. As for the net charge: +2. Its frontier orbital gap is 6.810 eV. As for the HOMO energy: -13.315 eV.

=====

Record 1
********

  1. Open up, and find the message you want to share in the message list. Here, you have two choices:
    1. With one finger, press and hold on a message until you feel a haptic. When you feel the haptic, immediately move your finger a little bit, before you see the preview come up. This lets you operate directly from the message list, but is very fiddly.
    2. Tap the message to open the detail view, then press and hold on the sent date in the top right.
  2. Continue holding down with your first finger. With a second finger, swipe up from the bottom to enter the multitasking view, or to go back to your home screen. While holding your first finger in place, either switch to or launch OmniFocus.
  3. With your second finger, navigate to the Inbox, drag your first finger to the bottom of the list, and release it. Voila! You should have a task with a brief summary and a link back to the message.
  4. Swipe up from the bottom to switch back to Mail, then archive the message.